File:
+++
[1]
Density functional theory data (ωB97M-V/def2-TZVPD) for a 3-piece molecular cluster, C11H21B3NO11PS overall in a non-equilibrium geometry.

Its HOMO-LUMO gap is 0.309 Eh. As for the SMILES: NB1OB(CCOC=O)OB([PH2]=S)O1.C[C@@H]1COC(=O)O1.C[C@@H]1COC(=O)O1. Its highest occupied orbital energy is -0.305 Ha.

```
! RIJCOSX wB97M-V def2-TZVPD def2/J DEFGRID3
* xyz 0 1
S 2.113 3.430 1.246
P 3.426 2.251 2.091
O 0.413 3.645 -1.921
O -0.532 -1.251 2.110
O -4.616 -1.669 0.283
O 0.294 -2.743 0.640
O 3.069 -1.845 0.126
O -5.880 -3.471 -0.021
O -0.060 5.152 -0.314
O 3.113 0.493 -0.151
O 0.795 5.802 -2.300
O 4.394 -0.485 1.579
O -5.447 -2.110 -1.766
N 4.112 -2.874 2.155
C -4.886 -2.179 1.603
C 1.588 2.567 -3.746
C 1.431 5.091 -3.364
C -0.011 -2.303 1.854
C 0.336 4.894 -1.401
C 0.839 -0.591 -0.499
C -5.328 -2.385 -0.617
C -3.671 -2.051 2.486
C -5.309 -3.601 1.283
C 0.742 3.739 -3.314
C -0.014 -1.851 -0.460
B 3.859 -1.742 1.279
B 3.718 0.604 1.070
B 2.366 -0.696 -0.206
H 0.265 -3.044 2.618
H 2.085 2.787 -4.692
H 0.982 1.672 -3.879
H -6.048 -4.003 1.971
H 2.499 5.012 -3.145
H 4.600 -3.621 1.665
H -3.539 -1.030 2.837
H 3.238 -3.297 2.458
H 0.125 -2.459 -1.356
H 1.286 5.622 -4.301
H -5.729 -1.613 2.007
H 0.714 -0.096 -1.474
H -2.778 -2.321 1.925
H -3.762 -2.704 3.355
H 2.995 1.764 3.337
H 0.452 0.142 0.225
H 2.342 2.357 -2.986
H -4.453 -4.278 1.226
H -0.198 3.771 -3.873
H -1.077 -1.589 -0.396
H 4.683 2.810 2.379
*
```

---

[2]
Density functional theory data (ωB97M-V/def2-TZVPD) for C11H21BrNO9P2Pd as an isolated structure.

Its HOMO-LUMO gap is 0.341 Eh. As for the energy above the lowest of the compared OMol25 structures with the same formula, charge and spin: 0.113 eV. Its highest occupied orbital energy is -0.463 Ha.

```
! RIJCOSX wB97M-V def2-TZVPD def2/J DEFGRID3
* xyz 1 1
Pd 0.018 0.148 -0.099
Br -3.424 5.704 0.888
P 0.844 -2.808 0.281
P -1.674 -2.003 1.421
O -2.283 -1.381 2.757
O 0.123 0.919 -2.862
O -0.093 -3.887 -0.339
O 0.771 -1.258 2.405
O -1.625 -0.897 0.356
O -2.317 -3.276 1.009
O 1.737 1.282 -0.442
O 2.233 -3.519 0.467
O 1.077 -1.559 -0.529
N -0.997 1.820 0.277
C -2.244 1.918 -0.202
C 0.080 -2.389 1.884
C 2.980 0.634 -0.096
C -0.260 -0.027 -3.851
C 1.812 2.037 -1.675
C -0.462 2.854 0.934
C -1.152 4.028 1.142
C -2.999 3.061 -0.045
C 0.139 -3.573 2.848
C -2.443 4.132 0.639
C 1.504 1.195 -2.886
H -4.000 3.109 -0.448
H 2.808 2.477 -1.732
H 0.325 -0.986 3.217
H 1.177 -3.768 3.118
H -1.335 -0.162 -3.767
H -0.308 -4.468 2.418
H 0.548 2.724 1.296
H -0.694 4.842 1.684
H 1.777 1.752 -3.791
H -0.017 0.338 -4.852
H -2.634 1.047 -0.709
H -2.960 -1.948 3.151
H -1.043 -3.847 -0.010
H 3.737 1.405 0.038
H 2.086 0.264 -2.876
H 3.277 -0.069 -0.872
H 1.073 2.834 -1.589
H 2.195 -4.483 0.527
H -0.411 -3.331 3.759
H 0.241 -0.985 -3.681
H 2.813 0.100 0.834
*
```

---

[3]
Density functional theory data (ωB97M-V/def2-TZVPD) for a 2-piece molecular cluster, C11H21ClN2 overall in a non-equilibrium geometry.

Its HOMO-LUMO gap (alpha / beta) is 0.322 / 0.241 Eh. As for the energy above the lowest of the compared OMol25 structures with the same formula, charge and spin: 2.735 eV. Its highest occupied orbital energy (alpha / beta) is -0.299 / -0.241 Ha.

```
! RIJCOSX wB97M-V def2-TZVPD def2/J DEFGRID3
* xyz 0 1
Cl 1.928 1.394 -0.839
N 0.039 1.661 2.282
N -0.819 0.290 0.408
C -0.019 -1.521 1.754
C -1.773 0.881 -0.553
C -0.699 -2.046 -0.675
C 2.608 0.010 0.090
C -0.684 -1.057 0.488
C -0.235 1.037 1.356
C -3.047 0.187 -0.174
C 3.061 -1.127 -0.815
C -1.899 2.358 -0.190
C 3.462 0.484 1.244
C -1.245 0.890 -2.032
H -0.877 2.698 0.170
H 1.066 -1.340 2.039
H 2.343 -1.885 -0.848
H -2.201 0.875 -2.467
H -2.616 2.459 0.702
H -3.361 -0.320 -1.170
H 0.272 -2.243 -1.147
H -1.244 -3.001 -0.306
H 2.843 1.051 1.942
H -0.866 1.939 -2.044
H -0.445 0.228 -2.215
H 3.968 -0.405 1.678
H 4.334 0.986 0.808
H -0.053 -2.668 1.865
H 3.423 -0.654 -1.855
H -0.648 -1.305 2.633
H -3.071 -0.608 0.581
H 3.941 -1.723 -0.388
H -3.796 0.973 0.103
+++
Exercise:
Return everything further up verbatim.
Here it is:
[1]
Density functional theory data (ωB97M-V/def2-TZVPD) for a 3-piece molecular cluster, C11H21B3NO11PS overall in a non-equilibrium geometry.

Its HOMO-LUMO gap is 0.309 Eh. As for the SMILES: NB1OB(CCOC=O)OB([PH2]=S)O1.C[C@@H]1COC(=O)O1.C[C@@H]1COC(=O)O1. Its highest occupied orbital energy is -0.305 Ha.

```
! RIJCOSX wB97M-V def2-TZVPD def2/J DEFGRID3
* xyz 0 1
S 2.113 3.430 1.246
P 3.426 2.251 2.091
O 0.413 3.645 -1.921
O -0.532 -1.251 2.110
O -4.616 -1.669 0.283
O 0.294 -2.743 0.640
O 3.069 -1.845 0.126
O -5.880 -3.471 -0.021
O -0.060 5.152 -0.314
O 3.113 0.493 -0.151
O 0.795 5.802 -2.300
O 4.394 -0.485 1.579
O -5.447 -2.110 -1.766
N 4.112 -2.874 2.155
C -4.886 -2.179 1.603
C 1.588 2.567 -3.746
C 1.431 5.091 -3.364
C -0.011 -2.303 1.854
C 0.336 4.894 -1.401
C 0.839 -0.591 -0.499
C -5.328 -2.385 -0.617
C -3.671 -2.051 2.486
C -5.309 -3.601 1.283
C 0.742 3.739 -3.314
C -0.014 -1.851 -0.460
B 3.859 -1.742 1.279
B 3.718 0.604 1.070
B 2.366 -0.696 -0.206
H 0.265 -3.044 2.618
H 2.085 2.787 -4.692
H 0.982 1.672 -3.879
H -6.048 -4.003 1.971
H 2.499 5.012 -3.145
H 4.600 -3.621 1.665
H -3.539 -1.030 2.837
H 3.238 -3.297 2.458
H 0.125 -2.459 -1.356
H 1.286 5.622 -4.301
H -5.729 -1.613 2.007
H 0.714 -0.096 -1.474
H -2.778 -2.321 1.925
H -3.762 -2.704 3.355
H 2.995 1.764 3.337
H 0.452 0.142 0.225
H 2.342 2.357 -2.986
H -4.453 -4.278 1.226
H -0.198 3.771 -3.873
H -1.077 -1.589 -0.396
H 4.683 2.810 2.379
*
```

---

[2]
Density functional theory data (ωB97M-V/def2-TZVPD) for C11H21BrNO9P2Pd as an isolated structure.

Its HOMO-LUMO gap is 0.341 Eh. As for the energy above the lowest of the compared OMol25 structures with the same formula, charge and spin: 0.113 eV. Its highest occupied orbital energy is -0.463 Ha.

```
! RIJCOSX wB97M-V def2-TZVPD def2/J DEFGRID3
* xyz 1 1
Pd 0.018 0.148 -0.099
Br -3.424 5.704 0.888
P 0.844 -2.808 0.281
P -1.674 -2.003 1.421
O -2.283 -1.381 2.757
O 0.123 0.919 -2.862
O -0.093 -3.887 -0.339
O 0.771 -1.258 2.405
O -1.625 -0.897 0.356
O -2.317 -3.276 1.009
O 1.737 1.282 -0.442
O 2.233 -3.519 0.467
O 1.077 -1.559 -0.529
N -0.997 1.820 0.277
C -2.244 1.918 -0.202
C 0.080 -2.389 1.884
C 2.980 0.634 -0.096
C -0.260 -0.027 -3.851
C 1.812 2.037 -1.675
C -0.462 2.854 0.934
C -1.152 4.028 1.142
C -2.999 3.061 -0.045
C 0.139 -3.573 2.848
C -2.443 4.132 0.639
C 1.504 1.195 -2.886
H -4.000 3.109 -0.448
H 2.808 2.477 -1.732
H 0.325 -0.986 3.217
H 1.177 -3.768 3.118
H -1.335 -0.162 -3.767
H -0.308 -4.468 2.418
H 0.548 2.724 1.296
H -0.694 4.842 1.684
H 1.777 1.752 -3.791
H -0.017 0.338 -4.852
H -2.634 1.047 -0.709
H -2.960 -1.948 3.151
H -1.043 -3.847 -0.010
H 3.737 1.405 0.038
H 2.086 0.264 -2.876
H 3.277 -0.069 -0.872
H 1.073 2.834 -1.589
H 2.195 -4.483 0.527
H -0.411 -3.331 3.759
H 0.241 -0.985 -3.681
H 2.813 0.100 0.834
*
```

---

[3]
Density functional theory data (ωB97M-V/def2-TZVPD) for a 2-piece molecular cluster, C11H21ClN2 overall in a non-equilibrium geometry.

Its HOMO-LUMO gap (alpha / beta) is 0.322 / 0.241 Eh. As for the energy above the lowest of the compared OMol25 structures with the same formula, charge and spin: 2.735 eV. Its highest occupied orbital energy (alpha / beta) is -0.299 / -0.241 Ha.

```
! RIJCOSX wB97M-V def2-TZVPD def2/J DEFGRID3
* xyz 0 1
Cl 1.928 1.394 -0.839
N 0.039 1.661 2.282
N -0.819 0.290 0.408
C -0.019 -1.521 1.754
C -1.773 0.881 -0.553
C -0.699 -2.046 -0.675
C 2.608 0.010 0.090
C -0.684 -1.057 0.488
C -0.235 1.037 1.356
C -3.047 0.187 -0.174
C 3.061 -1.127 -0.815
C -1.899 2.358 -0.190
C 3.462 0.484 1.244
C -1.245 0.890 -2.032
H -0.877 2.698 0.170
H 1.066 -1.340 2.039
H 2.343 -1.885 -0.848
H -2.201 0.875 -2.467
H -2.616 2.459 0.702
H -3.361 -0.320 -1.170
H 0.272 -2.243 -1.147
H -1.244 -3.001 -0.306
H 2.843 1.051 1.942
H -0.866 1.939 -2.044
H -0.445 0.228 -2.215
H 3.968 -0.405 1.678
H 4.334 0.986 0.808
H -0.053 -2.668 1.865
H 3.423 -0.654 -1.855
H -0.648 -1.305 2.633
H -3.071 -0.608 0.581
H 3.941 -1.723 -0.388
H -3.796 0.973 0.103